Tasty and healthy: coffee extends human lifespan
(Here the text breaks off for materials data)
********
Crystalline Rb6LiPr11Se12Cl16O36 at its relaxed geometry, computed with GGA-PBE.

Results
Space-group type ... No. 140
E ... -5.737 eV/atom
Energy of formation from the pure elements ... -2258 meV per atom

Structure (POSCAR):
```
Rb6LiPr11Se12Cl16O36
1.0
-8.058 8.058 12.600
8.058 -8.058 12.600
8.058 8.058 -12.600
Rb Li Pr Se Cl O
12 2 22 24 32 72
Direct
0.120 0.871 0.991 Rb
0.124 0.376 0.500 Rb
0.129 0.120 0.249 Rb
0.371 0.620 0.991 Rb
0.376 0.876 0.253 Rb
0.380 0.371 0.751 Rb
0.620 0.629 0.249 Rb
0.624 0.124 0.747 Rb
0.629 0.380 0.009 Rb
0.871 0.880 0.751 Rb
0.876 0.624 0.500 Rb
0.880 0.129 0.009 Rb
0.250 0.750 0.500 Li
0.750 0.250 0.500 Li
0.000 0.000 0.500 Pr
0.000 0.500 0.000 Pr
0.002 0.502 0.257 Pr
0.007 0.750 0.257 Pr
0.245 0.745 0.743 Pr
0.250 0.250 0.000 Pr
0.250 0.507 0.257 Pr
0.250 0.993 0.743 Pr
0.255 0.998 0.500 Pr
0.493 0.750 0.743 Pr
0.498 0.755 0.500 Pr
0.500 0.000 0.000 Pr
0.500 0.500 0.500 Pr
0.502 0.245 0.500 Pr
0.507 0.250 0.257 Pr
0.745 0.002 0.500 Pr
0.750 0.007 0.257 Pr
0.750 0.493 0.743 Pr
0.750 0.750 0.000 Pr
0.755 0.255 0.257 Pr
0.993 0.250 0.743 Pr
0.998 0.498 0.743 Pr
0.010 0.038 0.729 Se
0.038 0.310 0.028 Se
0.064 0.779 0.500 Se
0.190 0.462 0.972 Se
0.219 0.190 0.729 Se
0.221 0.721 0.285 Se
0.279 0.564 0.500 Se
0.281 0.010 0.972 Se
0.310 0.281 0.271 Se
0.436 0.936 0.715 Se
0.462 0.490 0.271 Se
0.490 0.219 0.028 Se
0.510 0.781 0.972 Se
0.538 0.510 0.729 Se
0.564 0.064 0.285 Se
0.690 0.719 0.729 Se
0.719 0.990 0.028 Se
0.721 0.436 0.500 Se
0.779 0.279 0.715 Se
0.781 0.810 0.271 Se
0.810 0.538 0.028 Se
0.936 0.221 0.500 Se
0.962 0.690 0.972 Se
0.990 0.962 0.271 Se
0.068 0.340 0.258 Cl
0.076 0.576 0.500 Cl
0.077 0.077 0.000 Cl
0.082 0.810 0.742 Cl
0.160 0.432 0.742 Cl
0.163 0.663 0.978 Cl
0.185 0.163 0.500 Cl
0.190 0.932 0.272 Cl
0.310 0.582 0.742 Cl
0.316 0.815 0.978 Cl
0.337 0.315 0.500 Cl
0.340 0.082 0.272 Cl
0.418 0.160 0.728 Cl
0.423 0.423 0.000 Cl
0.424 0.924 0.500 Cl
0.432 0.690 0.272 Cl
0.568 0.310 0.728 Cl
0.576 0.076 0.500 Cl
0.577 0.577 0.000 Cl
0.582 0.840 0.272 Cl
0.660 0.918 0.728 Cl
0.663 0.685 0.500 Cl
0.684 0.185 0.022 Cl
0.690 0.418 0.258 Cl
0.810 0.068 0.728 Cl
0.815 0.837 0.500 Cl
0.837 0.337 0.022 Cl
0.840 0.568 0.258 Cl
0.918 0.190 0.258 Cl
0.923 0.923 0.000 Cl
0.924 0.424 0.500 Cl
0.932 0.660 0.742 Cl
0.010 0.681 0.087 O
0.059 0.436 0.130 O
0.064 0.441 0.870 O
0.064 0.688 0.381 O
0.071 0.941 0.378 O
0.075 0.161 0.837 O
0.077 0.990 0.672 O
0.094 0.874 0.500 O
0.095 0.181 0.672 O
0.126 0.626 0.220 O
0.161 0.324 0.086 O
0.176 0.339 0.914 O
0.181 0.510 0.087 O
0.183 0.806 0.619 O
0.188 0.564 0.381 O
0.194 0.064 0.622 O
0.194 0.812 0.376 O
0.237 0.075 0.914 O
0.263 0.176 0.837 O
0.306 0.683 0.619 O
0.306 0.929 0.870 O
0.312 0.694 0.376 O
0.317 0.936 0.624 O
0.319 0.405 0.328 O
0.324 0.237 0.163 O
0.339 0.425 0.163 O
0.374 0.594 0.500 O
0.405 0.077 0.087 O
0.406 0.906 0.780 O
0.423 0.095 0.913 O
0.425 0.263 0.086 O
0.429 0.806 0.870 O
0.436 0.306 0.378 O
0.436 0.817 0.624 O
0.441 0.571 0.378 O
********
(The materials data stop here)

Is coffee a vice? Yes, it is. But it is a healthy vice and it may even extend the human lifespan. At least, this is the thesis of two important medical researches published on Annals of Internal Medicine, based on full-scale investigations ran on different population groups.
Someone pasted calculated crystals at this point:
____________
No. 1
A relaxed structure of NbCr3Ag2S8, computed with PBE-GGA.

Structure (CIF):
```
data_NbCr3Ag2S8
_space_group_name_H-M_alt 'P 1'
_space_group_IT_number 1
_space_group_name_Hall 'P 1'
_cell_length_a 6.000
_cell_length_b 6.941
_cell_length_c 13.288
_cell_angle_alpha 90.51
_cell_angle_beta 90.23
_cell_angle_gamma 90.26
loop_
_atom_site_label
_atom_site_type_symbol
_atom_site_fract_x
_atom_site_fract_y
_atom_site_fract_z
Nb1 Nb 0.000 0.000 0.000
Nb2 Nb 0.494 0.789 0.501
Cr1 Cr 0.003 0.528 0.000
Cr2 Cr 0.005 0.018 0.499
Cr3 Cr 0.006 0.520 0.499
Cr4 Cr 0.501 0.269 0.998
Cr5 Cr 0.502 0.773 0.000
Cr6 Cr 0.506 0.263 0.501
Ag1 Ag 0.133 0.287 0.752
Ag2 Ag 0.455 0.280 0.250
Ag3 Ag 0.523 0.758 0.746
Ag4 Ag 0.844 0.751 0.247
S1 S 0.160 0.771 0.393
S2 S 0.168 0.280 0.099
S3 S 0.173 0.268 0.403
S4 S 0.178 0.768 0.108
S5 S 0.325 0.028 0.610
S6 S 0.334 0.516 0.900
S7 S 0.337 0.508 0.602
S8 S 0.340 0.018 0.893
S9 S 0.661 0.019 0.107
S10 S 0.668 0.511 0.399
S11 S 0.669 0.527 0.099
S12 S 0.679 0.019 0.391
S13 S 0.826 0.764 0.891
S14 S 0.839 0.278 0.901
S15 S 0.842 0.772 0.602
S16 S 0.845 0.270 0.596
```

Energy above the most stable polymorph in this dataset: 39.3 meV/atom
Crystal system: triclinic
Total DFT energy (no corrections): -171.68 eV/cell
ΔE_f: -0.860 eV per atom

No. 2
A relaxed structure of NbCr3Ag2S8, computed with PBE-GGA.

Structure (CIF):
```
data_NbCr3Ag2S8
_space_group_name_H-M_alt 'P m c 21'
_space_group_IT_number 26
_space_group_name_Hall 'P 2c -2'
_cell_length_a 3.470
_cell_length_b 12.203
_cell_length_c 11.851
_cell_angle_alpha 90.00
_cell_angle_beta 90.00
_cell_angle_gamma 90.00
loop_
_atom_site_label
_atom_site_type_symbol
_atom_site_fract_x
_atom_site_fract_y
_atom_site_fract_z
Nb1 Nb 0.000 0.031 0.000
Cr1 Cr 0.000 0.337 0.546
Cr2 Cr 0.500 0.183 0.755
Cr3 Cr 0.500 0.456 0.304
Ag1 Ag 0.000 0.171 0.288
Ag2 Ag 0.500 0.345 0.019
S1 S 0.000 0.136 0.617
S2 S 0.000 0.216 0.885
S3 S 0.000 0.373 0.201
S4 S 0.000 0.499 0.940
S5 S 0.500 0.000 0.351
S6 S 0.500 0.133 0.102
S7 S 0.500 0.292 0.418
S8 S 0.500 0.370 0.684
```

Energy above the most stable polymorph in this dataset: 113.5 meV/atom
Crystal system: orthorhombic
Total DFT energy (no corrections): -169.60 eV/cell
ΔE_f: -0.786 eV per atom

No. 3
A relaxed structure of NbCr3Ag2S8, computed with PBE-GGA.

Structure (CIF):
```
data_NbCr3Ag2S8
_space_group_name_H-M_alt 'P 1'
_space_group_IT_number 1
_space_group_name_Hall 'P 1'
_cell_length_a 6.474
_cell_length_b 7.642
_cell_length_c 12.522
_cell_angle_alpha 82.25
_cell_angle_beta 85.82
_cell_angle_gamma 89.94
loop_
_atom_site_label
_atom_site_type_symbol
_atom_site_fract_x
_atom_site_fract_y
_atom_site_fract_z
Nb1 Nb 0.000 0.000 0.000
Nb2 Nb 0.383 0.593 0.700
Cr1 Cr 0.083 0.186 0.299
Cr2 Cr 0.483 0.771 0.006
Cr3 Cr 0.598 0.437 0.292
Cr4 Cr 0.607 0.940 0.298
Cr5 Cr 0.869 0.838 0.705
Cr6 Cr 0.881 0.333 0.702
Ag1 Ag 0.107 0.682 0.305
Ag2 Ag 0.352 0.089 0.700
Ag3 Ag 0.491 0.262 0.003
Ag4 Ag 0.979 0.508 0.003
S1 S 0.002 0.101 0.630
____________
So much for the calculated crystals:
The first study on the relationship between coffee consumption and reduced death rate, has been conducted on 520 thousand people from ten European countries by 48 researchers led by Marc Gunter, epidemiologist at International Agency for Research on Cancer1. The second one, by Wendy Setiawan of University of Southern California2, investigated 185 thousand people: African Americans, Japanese Americans, Hispanic and Latinos, Whites.
Both the researches pointed out the same results with similar benefits on different ethnic groups. Compared with somebody who doesn’t drink coffee at all, a person who consume every day a cup of 235 ml (the classic espresso is about 40 ml) has a 12% reduced risk of death from any cause (cardiac disorders, cancer, stroke, diabetes, lung and kidney pathologies). The benefits are even stronger for a person who drink 2 or 3 cups a day, as they increase with the dose: -12% on death rate for one cup, -18% for three or more cups.
The result seems not to be related with caffeine, so decaffeinated is effective as well. Marc Gunter explained that the association between drinking coffee end reduced mortality doesn’t depend on caffeine, and the beneficial effects rely on other molecules in coffee.
Some examples of these substances are polyphenols (powerful vegetal antioxidants), chlorogenic acids (related to polyphenols), diterpenes (also found in vegetal resins and balms). All of them have antioxidant properties. The main benefits seem to be on the digestive system. Doctor Gunter, in fact, stresses that coffee drinkers have a better liver enzymatic profile and, also, a better glucose control and a lower inflammation rate. This is, possibly, an explanation of coffee effects in lowering mortality.
Furthermore, the authors of the two studies emphasize how these outcomes can be seen together with those of past researches, suggesting several beneficial effects related to coffee drinking.
Hence, coffee is not just a delicious vice, but it is also an “elixir of life”.
¹ http://annals.org/aim/article/2643435/coffee-drinking-mortality-10-european-countries-multinational-cohort-study
² http://annals.org/aim/article/2643433/association-coffee-consumption-total-cause-specific-mortality-among-nonwhite-populations